See the private action item for dial in details
A. Admin
1- Roll call
total 7 voters
2- Minutes from Jan 10
B. Material
OASIS GitHub Repository URL:
Primary Maintainer: David Filip
Backup Maintainer: Felix Sasaki
dF made some goo dprogress on the diagram.. let's check it out
Repository URL;:
Primary Maintainer: Robert van Engelen
Backup Maintainer: Chase Tingley
- Chase added by Robin to make wiki editting possible
- Need to discuss strategy for modules and extensions
- Want to change expansion of JLIFF based on last time discussion .. should be a Fragment Format, rather than a file format..
3- TBX Mapping
Continue work on SVN:
Link to latest Editors' Draft of TBX mapping:
AI James and dF to schedule 1:1 editorial call for follow-up. / PENDING
Nothing to report. Hope to schedule 1:1 meeting in next couple of weeks.
C. Other Topics
1- Date of next meeting?
- Normally on Feb 14, 2017.
- Robert will join but can only attend from 5:15 GMT or so, this conflict until April or so
- dF: Happy to accommodate Robert, we can start JLIFF stuff after Robert joins each time..
2- Liaisons
dF/James: TBX Steering Committee / ISO TC37/SC3 => Expect next TBX IS version in late 2017
dF: XLIFF TC - XLIFF 2.1 CSPRD01 launched on 26th October, will end on 25th November
Review closed, significant changes under way:
Do subscribe to the comment list
if you're not a member of the XLIFF TC you can only comment through the comment list (if you have a subscription)
You may follow the CTR discussion here
- dF connected Chase with Klaus Fleischmann (collecting metadata) ?? status
CSPRD02 could launch after Feb 7
3- Promotion
dF will talk on XML Prague about the ITS module in XLIFF 2.1 in early February. Soroush to give an oXygen workshop
4- AOB
A. Admin
1- Roll call
Attendance: Phil, Soroush, David, Alan, Chase, Robert, Felix
Quorum is reached by 4 (later +Chase, so 5) out of 7 voters
2- Minutes from the last meeting
dF: I move that the meeting minutes on
are our official minutes of record for the 10th Jan meeting.
Chase: I second.
[no dissent]
dF: If no objections, approved.
B. Material
dF: I made some progress on the OM diagram. Some multiplicity issues have been solved since the last update. Its now complete in terms of elements, but not attributes.
dF: WRT UML, the language does not define any specific semantics for relations, there are in fact many different profiles for UML that make different conventions for the available relationships..
so if you have any issues on how the element relationships are represented currently, please notify the group via email or raise an issue on the om repo.
dF: We must concentrate on unit and sub-unit for JLIFF since we now have a clearer idea of how JIFF should work. As the file exchange is not the case for JSON, I wanted to propose a different expansion for the abbreviation. So it will make JLIFF JSON Localisation Fragment Format, not File Format as in XLIFF. It is just a simple administrative matter that can be done now easier. We also have the “fragment” keyword in our charter.
Chase: It seems like the case at the moment. But definitely it requires more thinking.
'''
Density functional theory data (GGA-PBE) for crystalline Sc7Te2Ir2 at its relaxed geometry.

Cell: 3.784 8.739 8.739 Å, 60.74 77.50 77.50°
Positions (direct):
Sc: 0.814 0.078 0.293
Sc: 0.853 0.407 0.887
Sc: 0.500 0.026 0.974
Sc: 0.633 0.477 0.258
Sc: 0.367 0.742 0.523
Sc: 0.186 0.707 0.922
Sc: 0.147 0.113 0.593
Te: 0.000 0.763 0.237
Te: 0.500 0.362 0.638
Ir: 0.735 0.854 0.675
Ir: 0.265 0.325 0.146

- Uncorrected energy: -7.0921 eV/atom
- DOS at the Fermi energy: 10.0 states/eV per cell
- ΔE_f (raw): -0.8806 eV/atom
- Space group: Imm2 (44)

* * * * *

Material: Y6MoO12
Method: DFT, GGA+U
State: optimized geometry

```
19
Lattice="6.4044 0.0000 0.0000 2.6951 6.0027 0.0000 3.1081 0.8051 8.9609" Properties=species:S:1:pos:R:3 pbc="T T T"
Y 2.2834 1.8607 2.5445
Y 6.2563 5.0043 8.9418
Y 4.3175 0.9513 6.0737
Y 7.8900 5.8565 2.8872
Y 5.9512 1.8034 0.0191
Y 9.9241 4.9471 6.4165
Mo 3.2022 0.0000 0.0000
O 3.4843 2.8615 6.9470
O 5.6582 5.3602 6.8201
O 4.4260 1.0827 8.7824
O 3.7276 1.3161 4.0401
O 5.7191 5.7414 1.8807
O 3.5581 1.9400 0.3971
O 8.6494 4.8678 8.5639
O 6.4884 1.0664 7.0802
O 8.4799 5.4917 4.9209
O 7.7815 5.7251 0.1785
O 6.5494 1.4476 2.1408
O 8.7233 3.9463 2.0139
```

Results
Space group: P-1 (2)
Crystal system: triclinic
Volume: 344.5 Å³/cell
E_tot: -8.517 eV per atom

* * * * *

TcPtI2 | PBE | optimized geometry

Computed properties:
* space-group type: I-42d, No. 122
* energy relative to the lowest polymorph listed for this composition: 0.00 eV/f.u.
* formation energy (no corrections): 770.8 meV/atom
* DOS(E_F): 1.215 states/eV/atom

Geometry as POSCAR:
```
TcPtI2
1.0
6.084 0.000 0.000
0.000 6.084 0.000
3.042 3.042 6.055
I Tc Pt
4 2 2
direct
0.615 0.125 0.250
0.135 0.625 0.250
0.375 0.385 0.750
0.875 0.865 0.750
0.500 0.500 0.000
0.250 0.750 0.500
0.000 0.000 0.000
0.750 0.250 0.500
```

***

Sc2NbZn | PBE | optimized geometry

Computed properties:
* space-group type: P4/mmm, No. 123
* DOS(E_F): 0.865 states/eV/atom
* energy of formation from the pure elements: -0.112 eV per atom

Geometry as POSCAR:
```
Sc2NbZn
1.0
-2.917 0.222 1.112
-1.123 -0.981 -2.752
0.392 -7.588 2.545
Sc Nb Zn
2 1 1
direct
0.000 0.000 0.765
0.000 0.000 0.235
0.500 0.500 0.500
0.500 0.500 0.000
```

***

Sr6Br7Cl5 | PBE | optimized geometry

Computed properties:
* space-group type: Amm2, No. 38
* formation energy (no corrections): -2257.2 meV/atom
* DOS(E_F): 0.000 states/eV/atom

Geometry as POSCAR:
```
Sr6Br7Cl5
1.0
7.003 0.268 0.000
-0.679 6.975 0.000
0.000 0.000 13.836
Sr Br Cl
6 7 5
direct
0.996 0.996 0.166
0.996 0.996 0.834
0.015 0.015 0.500
0.493 0.493 0.328
0.498 0.498 0.000
0.493 0.493 0.672
0.194 0.798 0.000
0.202 0.807 0.667
0.202 0.807 0.333
0.698 0.698 0.500
0.798 0.194 0.000
0.807 0.202 0.667
0.807 0.202 0.333
0.303 0.303 0.164
0.303 0.303 0.836
0.314 0.314 0.500
0.690 0.690 0.166
0.690 0.690 0.834
```

***

Pm2TmRu2 | PBE | optimized geometry

Computed properties:
* space-group type: Immm, No. 71
'''
dF: Since the JLIFF acronym has not been clarified anywhere on the TC pages it doesn't require any chnages to our templates, just meeting consensus, we can and will leave this decision for the next meeting when people have had chance to think about it..
dF: Does anyone have something to add on JLIFF Repo?
Chase: I was assigned couple of action items since the last meeting and I added couple of pages on the wiki; default values for attributes in JLIFF and extensibility and modularity. The second is still in progress since it requires more thinking. The Metadata Module is the one that maps to JSON the most clearly (aside from namespace issue with must be solved later) and I started the wiki from it.
dF: I know UML can handle namespaces and namespaces are not an XML specificsc, but not sure about JSON.
Robert: There is nothing acceptable and in-use for JSON at this point and for the current version (there are some proposals, but not expected earlier than v. 5 of JSON schema).
dF: We will need to find a way for identifiers and namespaces later which would be also acceptable for the industry.
Robert: There are some conventions and notations, like the one from Google on JSON schema, that we can follow. But even if we come up with new solutions, we must document them completely.
Chase: We also might face some issues with the scope of uniqueness for the identifiers.
dF: This could be solved if we focus on ‘unit’ only, which is the scope for many ids. It was also mentioned by Felix that an issue might also appear since there is no IDREF available in JSON schema, this is vital for the purpose of our work.
Robert: We have added id and ref to JLIFF schema, but it is just our convention and could not be enforced by validators as with XML. Again, it must be mentioned in our documentation.
dF: XLIFF identifiers do not follow the generic XML ID behaviour, so there should not be an issue with defining and documenting the required convention. I will add more attributes to the diagram by the next meeting, as well as completing the extensibility. We actually could set the mda module/mechanims (as mentioned by Chase) as the generic extensibility mechanism for JLIFF and recreate other module features reusing the mda key, value pair mechanism.
Chase: Yes, we could use it as the container for any module data
dF: Our next meeting will be on 14th Feb. Thanks everybody for contributions, the meeting is now adjourned.
Meeting Statistics |
Quorum rule |
51% of voting members
Achieved quorum |
yes |
Individual Attendance |
Contributing Members: 7 of 18 (38%) Voting Members: 6 of 8 (75%) (used for quorum calculation)
Company Attendance |
Contributing Companies: 7 of 14 (50%) Voting Companies: 6 of 8 (75%)